Sunday, September 19, 2010

Attached: data records
Entry from the Materials Project database: an optimized crystal structure of MgMn4Ni2O12 (GGA+U).

```
MgMn4Ni2O12
1.0
5.010 0.000 0.000
-2.489 4.383 0.000
-0.685 -1.383 9.792
Mg Mn Ni O
1 4 2 12
Direct
0.000 0.000 0.000
0.058 0.732 0.254
0.251 0.595 0.754
0.595 0.267 0.754
0.728 0.063 0.255
0.394 0.399 0.254
0.917 0.924 0.733
0.032 0.353 0.149
0.064 0.069 0.356
0.242 0.897 0.652
0.265 0.273 0.852
0.352 0.034 0.149
0.423 0.762 0.348
0.545 0.549 0.653
0.638 0.960 0.852
0.728 0.731 0.140
0.756 0.430 0.348
0.894 0.268 0.648
0.955 0.626 0.862
```

Output
Total energy after the MP2020 corrections = -7.398 eV per atom
ΔH_f (0 K) = -1.65 eV/atom
Polymorph energy (0 for the lowest one) = 0 meV/atom
Back to the text

"The Bat Who Couldn't Fly"

Materials data, kept here for reference:
- - -
Compound: Sr3Mn2O12
Source: Materials Project
Functional: PBE+U
Structure: relaxed

Cell and atoms, written as POSCAR:
```
Sr3Mn2O12
1.0
-6.416 6.416 6.416
6.416 -6.416 6.416
6.416 6.416 -6.416
Sr Mn O
12 8 48
Direct
0.125 0.250 0.375
0.125 0.375 0.750
0.250 0.375 0.125
0.250 0.875 0.625
0.375 0.125 0.250
0.375 0.750 0.125
0.625 0.250 0.875
0.625 0.875 0.750
0.750 0.125 0.375
0.750 0.625 0.875
0.875 0.625 0.250
0.875 0.750 0.625
0.000 0.000 0.000
0.000 0.000 0.500
0.000 0.500 0.000
0.000 0.500 0.500
0.500 0.000 0.000
0.500 0.000 0.500
0.500 0.500 0.000
0.500 0.500 0.500
0.022 0.179 0.101
0.022 0.343 0.921
0.079 0.601 0.421
0.079 0.679 0.657
0.079 0.899 0.421
0.079 0.978 0.657
0.101 0.022 0.179
0.101 0.579 0.921
0.157 0.179 0.579
0.157 0.478 0.579
0.179 0.101 0.022
0.179 0.579 0.157
0.321 0.343 0.921
0.321 0.478 0.399
0.343 0.921 0.022
0.343 0.921 0.321
0.399 0.321 0.478
0.399 0.579 0.921
0.421 0.079 0.601
0.421 0.079 0.899
0.421 0.843 0.522
0.421 0.843 0.821
0.478 0.399 0.321
0.478 0.579 0.157
0.522 0.421 0.843
0.522 0.601 0.679
0.579 0.157 0.179
0.579 0.157 0.478
0.579 0.921 0.101
0.579 0.921 0.399
0.601 0.421 0.079
0.601 0.679 0.522
0.657 0.079 0.679
0.657 0.079 0.978
0.679 0.522 0.601
0.679 0.657 0.079
0.821 0.421 0.843
0.821 0.899 0.978
0.843 0.522 0.421
0.843 0.821 0.421
0.899 0.421 0.079
0.899 0.978 0.821
0.921 0.022 0.343
0.921 0.101 0.579
0.921 0.321 0.343
0.921 0.399 0.579
0.978 0.657 0.079
0.978 0.821 0.899
```

Summary:
Calculated volume (Å³/cell): 1056.4
Formation energy from the elements (meV per atom): -1402

Compound: SrMn7O12
Source: Materials Project
Functional: PBE+U
Structure: relaxed

Cell and atoms, written as POSCAR:
```
SrMn7O12
1.0
5.362 -3.749 0.000
5.362 3.749 0.000
-0.118 0.000 10.619
Sr Mn O
2 14 24
Direct
0.000 0.000 0.000
0.500 0.500 0.500
0.000 0.000 0.500
0.000 0.500 0.000
0.000 0.500 0.500
0.250 0.250 0.250
0.250 0.250 0.750
0.250 0.750 0.250
0.250 0.750 0.750
0.500 0.000 0.000
0.500 0.000 0.500
0.500 0.500 0.000
0.750 0.250 0.250
0.750 0.250 0.750
0.750 0.750 0.250
0.750 0.750 0.750
0.020 0.660 0.847
0.066 0.066 0.754
0.101 0.723 0.592
0.160 0.520 0.347
0.222 0.600 0.089
0.246 0.246 0.934
0.253 0.253 0.565
0.277 0.899 0.408
- - -

There once was a bat who could not fly. His name was Shin Dong. He lived amongst 13 other bats who each flew before he did. He was going to wed a fellow bat named Nari in just a few months, but wanted to impress her with flight. Nari knew he could not fly but she loved him anyways. The other bats tried to help him out, but their advice was the simple "Flap your wings". Shin Dong thought it was his weight that kept him from flying, and it was. You see at birth, Shin Dong's parents cut the tips of his wings so he could follow their family tradition. The tradition was to gain strength in flight, even though a bat's weight would be the factor of difficulty with flight. Turns out, the tips of the bat's wings were the one's that gave a bat balance in flight, so his parent's did not make things easy for him.
Every night, Shin Dong tried to fly but his weight made him fall. He always fell into the same tree. Poor Shin Dong, how many times will he get injured until he learns how to fly?
Believe it or not, there was a secret that his family kept from him. Most bats flew but his family was able to glide in the wind, all he had to do was follow the wind.
While he was sleeping during the day, Shin Dong noticed something. This was the mistake he had been doing all his year in attempting to fly. He would ask bats who did not have their wing tips cut off. When he woke up form his slumber, he went to his grandmother for flying advice. She simply said, "Glide with the wind Shin Dong."
"Glide with the wind?... What the hedge is that supposed to mean" Shin Dong thought, and with that piece of advice he left his grandmother's cave. "Glide?... hmmm glide..." this thought kept repeating in Shin Dong's head. He was walking toward his cave, when a group of bat bandits came to bully him. He seemed to be their target, since he was the only bat incapable of flight. Their names were S.S.5.0.1.  Shin Dong screeched for help from his friends, but they were nowhere in sight. They flew around him, making fun of him. Shin Dong could not take it any more. He got his wings and attacked all the bats, until each of them were against a cave wall. He then took his grandmother's advice, and he was gliding like he had never done before. He realized it was the same as flying but he had to work with the wind.
He flew over to Nari's cave to tell her the good news. She was delighted to see him flying, but he simply said that he was gliding, not flying. With that said, they flew together into the night. 

1 comment:

  1. I really like your storyline. It presents an internal problem and an external problem. Really good job
